
Well, in "reality" of the WC universe you're probably right, 'cause there are also things that aren't simulated in the game, like jamming guns, problems with systems/shields etc... . Heck, in the novel three Dralthi IVs give Blair and Hobbes a problem in a TBolt :).
But I was talking purely gamewise.
You know what: Here's my list of superfighters in the respective WC games,whether it interest you or not ;):
WC1: None
WC2: None in the basic game, maybe the Wraith from WCA. (The Morningstar and Crossbow are close, but they both have real disadvantages so don't classify as superfighters in my eyes)
Armada: Gladius (arguably)
WC3: Excalibur
WC4: Dragon (the superfighter) and the Bearcat (also very very super when looked on the paper., flying those things is awful because of the gun placement.)
WCP: Vampire

BTW: Many here tell me that the Exacl's armour was really thin. Now in the manual it has 110cm of armour front/back and 110cm on the sides, absolutely comparable to the TBolt. I know that mnauals don't always tell the truth but even in the game I never felt that the Excal's armour was inferior to that of the TBolt. Was it?
I think WC3 and WC4 are the only WC games that had true 'superfighters', and I don't recall hearing the earlier games having been referred to as having such. Mostly because the fighters there were pretty balanced in their strengths.

WC1's Rapier was manuverable like a Hornet but had pretty thin armor compared to a Scim or Raptor.. with almost the power of a Raptor with two guns. Just not quite. Great missile loadout though. :D

WC2's fighters were again, for the most part, fairly well balanced with the Sabre being the best heavy fighter they packed in the main games. The Morningstar's main advantage was its Mace, but otherwise it was not markedly superior to anything. If anything, the Morningstar reminds me of the Rapier's appearance in WC1; light, quick, pretty maneuverable... but weak in armor for its size.

WC3's real superfighter was the Excalibur - nothing else could really touch it in speed and power, and it had the one feature which put it heads-over-heels above others: the cloak. Yes, the cloak worked just once.. because we only had one mission we could use it in, really. But its shields were excellent, its weapons loadout superb, its maneuverability almost as good as an Arrow's with teeth as good as a Thunderbolt's.

WC4's Dragon... one of the ultimate heavy fighters. Heavily armored, maneuverable, fast... and packing superior guns with its secondary Fission Cannons. Its shields were thick, its armor almost as good... and its guns were easier to use on small targets than the Bearcat's. I'm so glad I took that route in WC4. Nothing else could touch it except another Dragon. Now that's a superfighter.

WCP: No real superfighters. Every fighter was specialized for a particular job (except the Tigershark, which was great for its CMD), so we had no real need for superfighters which were superior in every way to every other fighter. They were all great at their own jobs... specialized for that purpose. The Panther and Vampire were great heavy fighters, though I liked the Black Panther's Cloudburst guns more than the Black Vampire's Pulse Particle Cannons. But there ain't anything that beats the Devastator's heavy Plasma Cannon for cap-ship fun. :D

I wish I had a Devil Ray, though.
My friend, you forgot to list the Epee in WC2 and the ever awesome Hellcat V in WC3. If you mention then soon, I will forgive you.:D
Originally posted by Wulf
the ever awesome Hellcat V in WC3. If you mention [it] soon, I will forgive you.:D

Wulf, you are a superstar! Wanna' join the *new* Wild Eagles!?

Speaking of my quasi-assembly of CZ chaps, where's Mav been :confused:

Originally posted by Quarto
Mekt, Penguin: you're both right,

You have no idea how happy that makes me :)

Originally posted by Quarto
Of course, the most efficient combination of all would be a wing of Excals and Longbows, that goes without saying ;).

You're right, there's nothing in the WC3 context, game or novel, that could survive an Excal/'Bow onslaught :cool:

Haesslich: You can use the cheat alswantsmoreships in the simulator to fly the Devil Ray. That thing beats the crap out of the other bug fighters, except maybe the Stingray cluster.

As for the superfighters - I think maybe the Excal and Dragon are superfighters because they've got fun extras that other fighters don't have. Auto-tracking, cloak, jump, autoslide, super powerful guns. The Vamp's got most of that stuff, but then so do most of Confed's other fighters by 2681.
Originally posted by Wulf
Hey Col., remember the sequence of the Hellcats taking off in WC4? Work of art, man!

OH YES!! It was so awesome to see the Hellcat getting more FMV time! I was pretty psyched.

in fact, the whole early portion of WC4 was a dream-come-true :)

Mostly entirely made up of dogfighting in a Hellcat V! Rapture!
So does the WILD EAGLES have a webpage?

OH YEAH 1 more thing...the WC4 novel...although I don't like the BL crowd, I was flattered that they chose modified Hellcats as a weapon of choice!
Originally posted by Wulf
So does the WILD EAGLES have a webpage?

### Misplaced data records
/*
[1]
Molecular formula: C31H24N7O4SSr
Method: DFT, wB97M-V/def2-TZVPD

XYZ file:
```
68
Properties=species:S:1:pos:R:3:forces:R:3:mulliken_charge:R:1
Sr -0.28881 -0.86231 0.77384 0.164 -0.236 -0.316 1.815
S 2.33765 4.09852 -1.57685 -0.037 0.001 0.046 -0.310
O -2.58225 1.57518 -2.48840 0.001 -0.041 -0.190 -0.482
O -0.84862 0.24632 3.06074 0.150 -0.074 -0.020 -0.545
O -1.01804 0.23714 -1.59390 -0.082 -0.066 0.199 -0.571
O -0.60247 2.11562 4.19412 -0.018 -0.112 0.148 -0.485
N 1.61163 -3.74622 -0.37511 0.179 -0.038 -0.055 -0.974
N -1.43057 1.53717 0.78707 0.123 -0.321 -0.014 0.672
N 1.44392 -2.58456 0.09487 -0.236 0.105 0.110 0.500
N 1.31993 1.79162 -2.51946 -0.007 -0.090 -0.075 -0.312
N 1.39410 2.09815 -0.19902 0.172 -0.362 -0.116 0.168
N 2.40251 -0.89324 1.26700 -0.208 0.090 -0.168 -0.049
N -1.26048 -2.86223 -0.39680 0.402 -0.044 0.261 0.105
C -0.91878 1.45080 3.09499 -0.167 0.343 0.100 0.131
C 1.82786 3.04581 0.71415 0.107 0.216 0.007 -0.691
C 4.94223 -1.36151 0.24366 -0.169 -0.097 -0.035 -0.492
C -2.18604 3.43778 -0.41789 0.009 -0.103 0.004 -0.791
C 1.64312 2.49858 -1.40794 -0.114 0.112 0.082 0.251
C 0.53653 -4.50435 -0.71014 -0.055 0.206 0.067 -0.209
C -1.75235 1.19742 -1.53495 -0.128 -0.028 -0.092 0.278
C -2.49293 -2.39186 -0.83832 0.003 0.036 -0.147 0.392
C -4.01314 -1.83063 -2.63910 0.048 -0.019 -0.012 -0.933
C -2.12105 4.19132 0.74391 0.001 0.024 0.008 -0.922
C -3.31184 -1.66459 0.03199 0.044 0.013 0.017 -0.554
C 3.43805 -0.13912 1.62863 0.271 0.018 0.058 -0.466
C 2.75006 5.12083 2.32708 0.010 0.006 0.040 -0.751
C 1.84459 2.89309 2.09843 -0.080 -0.036 -0.058 -0.023
C -2.86713 -2.46010 -2.19229 -0.113 0.136 0.051 0.015
C -4.81547 -1.10141 -1.76338 -0.038 0.037 0.049 -0.491
C -1.70489 3.59742 1.92546 0.032 -0.131 -0.079 -0.718
C -4.45672 -1.02461 -0.42843 -0.076 0.086 -0.034 -0.930
C 2.62711 -1.88742 0.40209 0.190 -0.184 -0.031 0.026
C -1.37237 -6.36916 -1.49017 -0.173 0.229 0.053 -0.679
C 3.87816 -2.15392 -0.14522 0.122 -0.025 0.014 -0.334
C -1.36902 2.24687 1.89956 -0.249 0.430 -0.041 1.036
C 2.79026 5.27353 0.95269 0.027 0.071 -0.023 -0.406
C 4.72209 -0.33422 1.15280 -0.070 0.063 0.085 -0.839
C -1.76345 -5.10471 -1.14569 -0.100 -0.200 -0.078 -0.439
C 2.29781 3.92933 2.89429 0.028 0.046 0.044 -1.300
C -1.80998 2.10276 -0.34460 -0.096 0.375 0.115 0.050
C -0.84415 -4.09273 -0.74103 -0.138 0.008 -0.030 0.176
C 2.33827 4.23022 0.16028 -0.042 -0.109 0.023 0.711
C 0.90212 -5.81825 -1.09599 -0.089 -0.234 -0.086 -0.200
C -0.01828 -6.74691 -1.48178 0.278 0.043 0.043 -0.821
H 1.07048 0.82546 -2.37153 0.004 0.033 -0.050 0.129
H -2.13272 -7.08992 -1.76337 0.010 -0.030 -0.004 0.399
H -2.23308 -2.99916 -2.88366 0.005 -0.025 -0.001 0.527
H -3.08464 -1.63262 1.09571 0.024 -0.094 0.005 0.742
H 1.55653 1.94501 2.53127 -0.083 -0.006 0.039 1.059
H -1.66255 4.19406 2.82654 -0.007 -0.008 0.032 0.392
H 0.27789 -7.74697 -1.76180 0.020 -0.012 -0.002 0.376
H -4.29082 -1.90806 -3.68317 -0.002 -0.006 -0.020 0.415
H -0.62804 3.07422 4.07034 0.037 -0.067 -0.033 0.343
*/

OH YEAH 1 more thing...the WC4 novel...although I don't like the BL crowd, I was flattered that they chose modified Hellcats as a weapon of choice!

No :( That's why it's a quasi-assembly....

I never read the WC4 novel. Seriously, though? That's awesome! They have a twisted universe perspective but you can't deny their good taste!
Originally posted by Haesslich
(...) If anything, the Morningstar reminds me of the Rapier's appearance in WC1; light, quick, pretty maneuverable... but weak in armor for its size.

Eh,sorry? The Morningstar is exactly as fast and nimble as the Sabre (as to say good but not really impressive) but has quite heavy armour and shields, IIRC heavier than the Sabre. I really don't see any similarity to the Rapier from WC1. :)
(...) Black Vampire(...)

Of, I forgot about the Black variants in SOPS: Now those really were too good in my eyes, especially the Vampire and Wasp.

BTW: "Haesslich", a very, um, interesting callsign. Any special reason? ;)
Originally posted by Haesslich
The Morningstar's main advantage was its Mace, but otherwise it was not markedly superior to anything.
Mekt beat me to it, but yeah, I'm pretty sure the Morningstar has heavier armour than the Sabre's.
Originally posted by Penguin
...there's nothing in the WC3 context, game or novel, that could survive an Excal/'Bow onslaught
Dreadnought, perhaps? ;)
The 'star was heavy duty armor-wise! Some of the best endurance I've seen! But you just can't beat the good ol' 'Cat!
Wedge009: In game, give me 2 Excals and 4 'Bows and I'll put away the dreadnought before Thrak can say Damn you Hear--pffssh [insert dreadnought explosion sounds ;) ]. Since I haven't read the novel I don't know how many fighters I'd need to kill it in that context.

Wulf: The Morningstar definitely has better shields and armour to the Sabre. But I prefer the Sabre's armament - rear turret, better frontal guns and sometimes 6 torpedoes :)
Everyone knows you can blow up the dreadnought with a single fighter in the game. :(

And I don't use turrets that much, and I like the Morningstar's guns seem fine to me (just don't like the sound they make). And I don't think there's been a mission where you need more than four torps.